-- Given --
(1)
# C4H9N

C4H9N in the gas phase in a non-equilibrium geometry (the ωB97M-V functional and the def2-TZVPD basis, OMol25).

Results
Electronic energy, eV: -5783.2019
SMILES: C=C(N)CC
Strongest force on any atom, hartree/bohr: 0.04018
Orbital gap, eV: 9.2
HOMO level, eV: -8.0333
ΔE to the lowest compared entry with this formula, charge and spin, kcal/mol: 14.1

```
14
C4H9N the ωB97M-V functional and the def2-TZVPD basis
C 0.4209 1.2331 0.8869
C 0.6446 0.0443 0.3011
N 1.9112 -0.5202 0.5287
C -0.4190 -0.7792 -0.4203
C -1.5656 0.0710 -0.9633
H -0.4465 1.7707 0.5317
H 1.2094 1.7932 1.3586
H 2.1105 -1.4991 0.3975
H 2.4156 -0.2754 1.3610
H 0.2017 -1.2945 -1.1705
H -0.8394 -1.5164 0.2602
H -1.1988 0.8349 -1.6427
H -2.0274 0.6729 -0.1728
H -2.4172 -0.5352 -1.2562
```


(2)
# C4H9N

C4H9N in the gas phase (the ωB97M-V functional and the def2-TZVPD basis, OMol25).

Results
Electronic energy, eV: -5783.2963
SMILES: C=CCCN
Strongest force on any atom, hartree/bohr: 0.01100
Orbital gap, eV: 10.5
HOMO level, eV: -9.2884
ΔE to the lowest compared entry with this formula, charge and spin, kcal/mol: 11.9

```
14
C4H9N the ωB97M-V functional and the def2-TZVPD basis
C 2.1977 -0.8354 -0.5312
C 1.1676 -0.0084 -0.3767
C 0.1642 -0.0638 0.7503
C -1.2822 -0.1127 0.2368
N -1.6102 1.1139 -0.4732
H 2.3894 -1.6309 0.1780
H 2.8851 -0.7656 -1.3690
H 1.0067 0.7875 -1.1091
H 0.3512 -0.9326 1.3801
H 0.2733 0.8202 1.3909
H -1.9561 -0.3120 1.0870
H -1.3795 -0.9715 -0.4452
H -2.5225 1.0238 -0.9116
H -1.6847 1.8877 0.1929
```

----------

No. 1
Formula: C37H39N4O6PS3Tb
Source: the OMol25 dataset
Level of theory: ωB97M-V/def2-TZVPD

Properties
* <S²>: 12.034
* spin multiplicity: 7
* charge: -1
* HOMO-LUMO gap (spin up / spin down): 7.26 / 7.27 eV
* DFT total energy: -121482.3059 eV
* energy above the lowest of the compared OMol25 structures with the same formula, charge and spin: 66.9 kJ/mol

Geometry as XYZ:
```
91
Properties=species:S:1:pos:R:3:forces:R:3
Tb 0.3398 0.9831 -0.3307 -1.363 -1.244 0.600
O -0.2954 -0.9954 -1.2620 0.177 0.027 -0.386
C 0.1567 -1.8598 -2.0890 0.358 -1.298 0.550
C -0.6854 -2.8435 -2.6895 -2.142 0.121 0.287
C -0.2411 -3.8387 -3.5086 0.974 -0.624 0.271
C 1.1412 -3.9322 -3.7764 -0.311 -0.616 -0.544
C 2.0049 -3.0206 -3.2336 0.335 -0.624 -0.047
C 1.5558 -2.0768 -2.3198 -0.551 1.690 0.070
C 2.5222 -1.1409 -1.8211 -0.215 0.754 0.384
N 2.3125 -0.0579 -1.1463 1.166 -0.272 -0.435
C 3.4577 0.8447 -0.9713 -0.056 0.825 -1.532
C 3.5545 1.4366 0.4160 -0.254 -2.127 0.596
N 2.3104 2.0591 0.7985 0.250 1.717 -0.237
C 2.4406 3.1607 1.4826 -1.884 -0.740 -1.030
C 1.3875 4.1440 1.7058 -0.674 -0.491 -0.125
C 1.6552 5.2839 2.4845 0.465 -0.392 -0.197
C 0.6387 6.1553 2.7894 -0.401 0.836 -0.216
C -0.6763 5.9957 2.2827 1.130 -0.715 0.306
C -0.9484 4.8789 1.5237 -0.033 0.036 0.021
C 0.0410 3.9344 1.1682 2.006 -0.129 0.784
O -0.1817 2.8967 0.4483 -0.877 1.600 0.695
H -1.7709 -2.8509 -2.4278 0.965 0.386 -0.161
H -0.8678 -4.6774 -3.8639 0.062 0.857 0.208
H 1.4629 -4.7872 -4.3594 0.316 0.265 -0.193
H 3.0704 -3.0159 -3.4715 -0.188 -0.273 0.088
H 3.5457 -1.3569 -2.1047 0.440 -0.098 -0.147
H 3.3292 1.7350 -1.6567 -0.189 -0.846 0.304
H 4.4072 0.3830 -1.3171 -0.309 0.043 0.488
H 4.3638 2.1383 0.4046 0.731 0.298 0.357
H 3.6983 0.5641 1.0775 0.411 0.446 0.170
H 3.3853 3.3616 1.9377 0.930 0.429 0.165
H 2.7087 5.4803 2.7976 -1.010 -0.207 -0.018
H 0.8486 7.0255 3.3824 0.126 0.298 0.192
H -1.4361 6.7324 2.5397 0.063 -0.287 -0.079
H -1.9375 4.6175 1.2285 -0.697 0.103 -0.400
O -1.0443 0.4468 -3.9121 -0.003 -0.444 -1.366
S -0.8283 1.6164 -3.1374 -1.276 0.824 3.089
O 0.5093 1.8878 -2.5758 0.399 -0.114 -0.740
N -1.6638 1.5744 -1.7163 0.371 0.483 -1.222
C -2.8912 0.9701 -1.4538 -0.206 -0.810 -0.870
C -3.9935 0.9227 -2.3172 1.919 0.787 0.073
C -5.0772 0.0564 -2.1284 -0.220 0.288 0.107
C -5.1747 -0.5824 -0.9311 -0.530 -0.192 1.057
C -4.2448 -0.3058 0.1330 -0.420 -1.723 0.470
C -4.4229 -0.7714 1.4911 0.660 0.670 -0.089
C -3.3949 -0.5736 2.4359 -2.575 -1.385 -1.040
-- To do --
Your job: copy the material further above verbatim.
-- Response --
(1)
# C4H9N

C4H9N in the gas phase in a non-equilibrium geometry (the ωB97M-V functional and the def2-TZVPD basis, OMol25).

Results
Electronic energy, eV: -5783.2019
SMILES: C=C(N)CC
Strongest force on any atom, hartree/bohr: 0.04018
Orbital gap, eV: 9.2
HOMO level, eV: -8.0333
ΔE to the lowest compared entry with this formula, charge and spin, kcal/mol: 14.1

```
14
C4H9N the ωB97M-V functional and the def2-TZVPD basis
C 0.4209 1.2331 0.8869
C 0.6446 0.0443 0.3011
N 1.9112 -0.5202 0.5287
C -0.4190 -0.7792 -0.4203
C -1.5656 0.0710 -0.9633
H -0.4465 1.7707 0.5317
H 1.2094 1.7932 1.3586
H 2.1105 -1.4991 0.3975
H 2.4156 -0.2754 1.3610
H 0.2017 -1.2945 -1.1705
H -0.8394 -1.5164 0.2602
H -1.1988 0.8349 -1.6427
H -2.0274 0.6729 -0.1728
H -2.4172 -0.5352 -1.2562
```


(2)
# C4H9N

C4H9N in the gas phase (the ωB97M-V functional and the def2-TZVPD basis, OMol25).

Results
Electronic energy, eV: -5783.2963
SMILES: C=CCCN
Strongest force on any atom, hartree/bohr: 0.01100
Orbital gap, eV: 10.5
HOMO level, eV: -9.2884
ΔE to the lowest compared entry with this formula, charge and spin, kcal/mol: 11.9

```
14
C4H9N the ωB97M-V functional and the def2-TZVPD basis
C 2.1977 -0.8354 -0.5312
C 1.1676 -0.0084 -0.3767
C 0.1642 -0.0638 0.7503
C -1.2822 -0.1127 0.2368
N -1.6102 1.1139 -0.4732
H 2.3894 -1.6309 0.1780
H 2.8851 -0.7656 -1.3690
H 1.0067 0.7875 -1.1091
H 0.3512 -0.9326 1.3801
H 0.2733 0.8202 1.3909
H -1.9561 -0.3120 1.0870
H -1.3795 -0.9715 -0.4452
H -2.5225 1.0238 -0.9116
H -1.6847 1.8877 0.1929
```

----------

No. 1
Formula: C37H39N4O6PS3Tb
Source: the OMol25 dataset
Level of theory: ωB97M-V/def2-TZVPD

Properties
* <S²>: 12.034
* spin multiplicity: 7
* charge: -1
* HOMO-LUMO gap (spin up / spin down): 7.26 / 7.27 eV
* DFT total energy: -121482.3059 eV
* energy above the lowest of the compared OMol25 structures with the same formula, charge and spin: 66.9 kJ/mol

Geometry as XYZ:
```
91
Properties=species:S:1:pos:R:3:forces:R:3
Tb 0.3398 0.9831 -0.3307 -1.363 -1.244 0.600
O -0.2954 -0.9954 -1.2620 0.177 0.027 -0.386
C 0.1567 -1.8598 -2.0890 0.358 -1.298 0.550
C -0.6854 -2.8435 -2.6895 -2.142 0.121 0.287
C -0.2411 -3.8387 -3.5086 0.974 -0.624 0.271
C 1.1412 -3.9322 -3.7764 -0.311 -0.616 -0.544
C 2.0049 -3.0206 -3.2336 0.335 -0.624 -0.047
C 1.5558 -2.0768 -2.3198 -0.551 1.690 0.070
C 2.5222 -1.1409 -1.8211 -0.215 0.754 0.384
N 2.3125 -0.0579 -1.1463 1.166 -0.272 -0.435
C 3.4577 0.8447 -0.9713 -0.056 0.825 -1.532
C 3.5545 1.4366 0.4160 -0.254 -2.127 0.596
N 2.3104 2.0591 0.7985 0.250 1.717 -0.237
C 2.4406 3.1607 1.4826 -1.884 -0.740 -1.030
C 1.3875 4.1440 1.7058 -0.674 -0.491 -0.125
C 1.6552 5.2839 2.4845 0.465 -0.392 -0.197
C 0.6387 6.1553 2.7894 -0.401 0.836 -0.216
C -0.6763 5.9957 2.2827 1.130 -0.715 0.306
C -0.9484 4.8789 1.5237 -0.033 0.036 0.021
C 0.0410 3.9344 1.1682 2.006 -0.129 0.784
O -0.1817 2.8967 0.4483 -0.877 1.600 0.695
H -1.7709 -2.8509 -2.4278 0.965 0.386 -0.161
H -0.8678 -4.6774 -3.8639 0.062 0.857 0.208
H 1.4629 -4.7872 -4.3594 0.316 0.265 -0.193
H 3.0704 -3.0159 -3.4715 -0.188 -0.273 0.088
H 3.5457 -1.3569 -2.1047 0.440 -0.098 -0.147
H 3.3292 1.7350 -1.6567 -0.189 -0.846 0.304
H 4.4072 0.3830 -1.3171 -0.309 0.043 0.488
H 4.3638 2.1383 0.4046 0.731 0.298 0.357
H 3.6983 0.5641 1.0775 0.411 0.446 0.170
H 3.3853 3.3616 1.9377 0.930 0.429 0.165
H 2.7087 5.4803 2.7976 -1.010 -0.207 -0.018
H 0.8486 7.0255 3.3824 0.126 0.298 0.192
H -1.4361 6.7324 2.5397 0.063 -0.287 -0.079
H -1.9375 4.6175 1.2285 -0.697 0.103 -0.400
O -1.0443 0.4468 -3.9121 -0.003 -0.444 -1.366
S -0.8283 1.6164 -3.1374 -1.276 0.824 3.089
O 0.5093 1.8878 -2.5758 0.399 -0.114 -0.740
N -1.6638 1.5744 -1.7163 0.371 0.483 -1.222
C -2.8912 0.9701 -1.4538 -0.206 -0.810 -0.870
C -3.9935 0.9227 -2.3172 1.919 0.787 0.073
C -5.0772 0.0564 -2.1284 -0.220 0.288 0.107
C -5.1747 -0.5824 -0.9311 -0.530 -0.192 1.057
C -4.2448 -0.3058 0.1330 -0.420 -1.723 0.470
C -4.4229 -0.7714 1.4911 0.660 0.670 -0.089
C -3.3949 -0.5736 2.4359 -2.575 -1.385 -1.040